I've been looking into learning some Lua, because in my mind it looks like the bastard child of javascript and python, and i stumbled across love2d.org
It's basically an SDL binding for lua, but it also includes things like a physics engine based on box2d and a useful packaging mechanism.
and it's Fast. very fast.
Entry 1:
The following is a DFT calculation (ωB97M-V/def2-TZVPD) of a molecular structure, C17H41O18P3Pb at a distorted geometry.

```
80
Properties=species:S:1:pos:R:3
Pb -13.907 14.526 -16.820
C -14.918 13.873 -21.159
C -14.484 14.202 -19.733
O -13.410 13.707 -19.317
O -15.239 14.950 -19.056
H -15.598 13.027 -21.216
H -14.035 13.748 -21.788
H -15.443 14.734 -21.586
C -14.388 16.621 -12.820
C -14.359 15.967 -14.184
O -13.898 14.792 -14.283
O -14.804 16.621 -15.156
H -14.492 15.903 -12.008
H -15.213 17.333 -12.780
H -13.454 17.160 -12.648
C -16.432 10.386 -15.030
O -15.057 10.147 -14.724
P -13.971 10.825 -15.660
O -14.311 12.198 -16.044
O -12.665 10.659 -14.851
C -12.491 11.299 -13.583
O -13.716 9.868 -16.867
C -14.556 9.911 -18.037
H -16.915 9.443 -15.300
H -16.595 11.107 -15.830
H -16.941 10.733 -14.131
H -11.644 11.973 -13.654
H -12.332 10.525 -12.832
H -13.375 11.859 -13.273
H -14.971 8.918 -18.189
H -13.919 10.157 -18.885
H -15.344 10.656 -17.955
C -8.177 13.868 -14.180
O -9.548 13.641 -14.572
P -10.004 13.797 -16.048
O -11.447 13.785 -16.259
O -9.254 15.068 -16.550
C -9.299 15.371 -17.969
O -9.260 12.641 -16.854
C -9.727 11.289 -16.722
H -8.177 14.594 -13.372
H -7.587 14.268 -15.001
H -7.788 12.908 -13.852
H -9.608 16.407 -18.068
H -10.013 14.732 -18.484
H -8.294 15.237 -18.363
H -8.866 10.666 -16.949
H -10.582 11.111 -17.367
H -10.026 11.068 -15.693
C -13.775 17.413 -20.472
O -13.558 18.315 -19.359
P -12.432 17.958 -18.319
O -12.568 16.646 -17.695
O -12.444 19.190 -17.343
C -12.945 19.069 -16.000
O -11.073 18.136 -19.122
C -10.599 19.432 -19.443
H -14.792 17.036 -20.414
H -13.131 16.532 -20.392
H -13.564 17.967 -21.380
H -14.025 19.053 -15.967
H -12.525 19.905 -15.440
H -12.522 18.178 -15.538
H -11.424 20.112 -19.659
H -9.989 19.350 -20.343
H -9.967 19.847 -18.659
O -16.469 14.191 -16.260
C -17.429 14.242 -15.531
O -18.619 13.777 -15.921
C -18.686 13.397 -17.313
C -18.715 14.601 -18.232
C -17.458 14.802 -14.146
H -19.619 12.841 -17.368
H -17.859 12.735 -17.569
H -18.317 14.318 -19.207
H -18.131 15.457 -17.901
H -19.739 14.963 -18.361
H -16.900 14.139 -13.481
H -18.475 14.866 -13.770
H -16.980 15.779 -14.143
```

Computed properties:
DFT total energy   -3243.990813 hartree
LUMO level   0.7 eV
HOMO-LUMO gap   0.2994 hartree
Maximum force   1.3 eV Å⁻¹

Atom charges from the Mulliken analysis, given in e for atoms 1 to 5:
1 Pb 1.810
2 C -1.382
3 C 0.919
4 O -0.811
5 O -0.746

---

Entry 2:
The following is a DFT calculation (ωB97M-V/def2-TZVPD) of C2H5N3O2 in the gas phase at a distorted geometry.

```
12
Properties=species:S:1:pos:R:3
C 0.733 -0.472 -0.173
C -1.356 0.969 -0.303
H 1.613 -1.469 2.494
H 1.419 -0.951 -0.894
H 0.413 1.387 -2.297
H -1.857 1.583 -1.133
H -1.273 0.414 1.543
N 0.575 -0.736 1.101
N -0.163 0.416 -0.758
N -1.844 0.921 0.830
O 1.688 -1.552 1.498
O -0.007 0.532 -2.131
```

Computed properties:
DFT total energy   -393.815816 hartree
LUMO level   0.6 eV
HOMO-LUMO gap   0.3477 hartree
SMILES   [H]/N=C\N(O)/C=N/O
After checking out the code, it looks like it's all very nice and portable C++ , with a bunch of lua on top of it. All of it (from a cursory glance), should compile
on arm-linux. at the moment it's targeted for linux, windows and mac (ppc + intel).
The only hold out is that it uses OpenGL instead of OpenGL/es , but it also only uses it to accelerate 2d.
it's dependencies
lua - portable c , available for pandora
love - portable c++ ..
opensdl - portable c, available for pandora
openAL - portable c, it supports arm , but i don't know about pandora support
OpenGL - portable c , needs to be ported to opengl/es
DevIL - unknown .. it's an extension to sql for image loading/saving .. it will need to be ported to arm and possibly opengl/es
Does anyone have any more experiences with the status of these dependencies/libraries on the pandora ?
what's nice about this is that they already use a packaging mechanism similar to .pnd files that ship the entire stack alongside the
cross platform game file (called ".love") , so it would open up an entire community of games that can be easily ported.
theoretically some of this could be used to target iphone os / android too, with minimal changes.
Oh.. and i also found this - code.google.com/p/lov8/
some people are replacing the lua scripting with the google v8 javascript engine, which means you could write kickass games
in javascript.
It's basically an SDL binding for lua, but it also includes things like a physics engine based on box2d and a useful packaging mechanism.
and it's Fast. very fast.
After checking out the code, it looks like it's all very nice and portable C++ , with a bunch of lua on top of it. All of it (from a cursory glance), should compile
on arm-linux. at the moment it's targeted for linux, windows and mac (ppc + intel).
The only hold out is that it uses OpenGL instead of OpenGL/es , but it also only uses it to accelerate 2d.
it's dependencies
lua - portable c , available for pandora
love - portable c++ ..
opensdl - portable c, available for pandora
openAL - portable c, it supports arm , but i don't know about pandora support
OpenGL - portable c , needs to be ported to opengl/es
DevIL - unknown .. it's an extension to sql for image loading/saving .. it will need to be ported to arm and possibly opengl/es
Does anyone have any more experiences with the status of these dependencies/libraries on the pandora ?
what's nice about this is that they already use a packaging mechanism similar to .pnd files that ship the entire stack alongside the
cross platform game file (called ".love") , so it would open up an entire community of games that can be easily ported.
theoretically some of this could be used to target iphone os / android too, with minimal changes.
Oh.. and i also found this - code.google.com/p/lov8/
some people are replacing the lua scripting with the google v8 javascript engine, which means you could write kickass games
in javascript.